== Exercise ==
It remains to repeat the material further below from the line with "0.6627 0.2257" to the end with every line break kept.

== Input ==
┌──
No. 1
Density functional theory data (PBE+U) for an optimized crystal structure of La17Mn17O54.

Energy of formation from the pure elements in eV/atom: -2.93
Calculated density in g cm⁻³: 6.34
Energy with MP2020 corrections in eV per atom: -8.691
Volume in Å³/atom: 12.380

a b c (Å): 7.8637 9.5245 16.6603
angles (deg): 73.90 76.83 66.47
With the nearest neighbours (Å) after each atom.
Positions (direct):
Mn 0.6627 0.2257 0.4450  6 O 1.94-2.02
Mn 0.1659 0.8887 0.7762  6 O 1.88-2.01
Mn 0.8375 0.7752 0.5547  6 O 1.94-2.03
Mn 0.6666 0.8890 0.7772  6 O 1.96-2.00
Mn 0.0023 0.6644 0.3356  6 O 1.94-2.04
Mn 0.3333 0.7745 0.5547  6 O 1.97-2.02
Mn 0.3326 0.4451 0.8891  6 O 1.98-2.00
Mn 0.4984 0.6658 0.3343  6 O 1.96-2.04
Mn 0.4968 0.3347 0.6659  6 O 1.95-2.03
Mn 0.6666 0.5551 0.1112  6 O 1.98-2.00
Mn 0.1677 0.2254 0.4452  6 O 1.99-2.02
Mn 0.8340 0.1107 0.2238  6 O 1.88-2.00
Mn 0.0025 0.3348 0.6643  6 O 1.95-2.02
Mn 0.4999 0.0002 0.9998  6 O 1.89-2.00
Mn 0.8296 0.4504 0.8888  6 O 1.89-2.01
Mn 0.3337 0.1107 0.2229  6 O 1.96-2.00
Mn 0.1705 0.5494 0.1116  6 O 1.89-2.00
O 0.7906 0.3258 0.1529  2 Mn 1.99-2.00
O 0.9344 0.7114 0.4470  2 Mn 1.94
O 0.2934 0.4694 0.0080  2 Mn 1.97-2.00
O 0.5663 0.4467 0.3943  2 Mn 1.94-1.96
O 0.7888 0.9941 0.4881  2 Mn 2.00-2.02
O 0.6260 0.2482 0.5623  2 Mn 1.97-2.00
O 0.1263 0.7557 0.0485  1 Mn 1.89
O 0.9172 0.2380 0.4265  2 Mn 2.00-2.02
O 0.7494 0.3132 0.6877  2 Mn 2.02
O 0.7065 0.8604 0.6607  2 Mn 1.97-2.03
O 0.2495 0.3431 0.6574  2 Mn 1.95
O 0.7354 0.9831 0.0192  1 Mn 1.89
O 0.4574 0.8852 0.2630  2 Mn 1.96-2.04
O 0.7065 0.5307 0.9925  2 Mn 1.97-1.99
O 0.0828 0.0907 0.2443  2 Mn 1.99-2.00
O 0.0542 0.9664 0.8750  1 Mn 1.88
O 0.3780 0.4170 0.7717  2 Mn 1.98-2.01
O 0.0455 0.6377 0.2146  2 Mn 2.00-2.04
O 0.2647 0.0168 0.9805  1 Mn 1.89
O 0.9170 0.9075 0.7574  2 Mn 1.98-1.99
O 0.1212 0.1036 0.7080  2 Mn 1.98-2.01
O 0.4173 0.5324 0.1328  2 Mn 1.99-2.00
O 0.2886 0.8071 0.6738  2 Mn 1.96-2.02
O 0.4590 0.2166 0.9313  2 Mn 1.99-2.00
O 0.9523 0.3635 0.7846  2 Mn 2.01-2.02
O 0.0838 0.4233 0.9086  2 Mn 1.99-2.00
O 0.5840 0.1300 0.2026  2 Mn 1.99-2.00
O 0.0335 0.2915 0.5527  2 Mn 1.96-1.99
O 0.4278 0.1879 0.4598  2 Mn 1.97-1.99
O 0.2074 0.3393 0.1816  2 Mn 1.96-1.99
O 0.1109 0.4357 0.3696  2 Mn 1.96-1.99
O 0.6219 0.5857 0.2279  2 Mn 1.98-2.01
O 0.5413 0.7834 0.0680  2 Mn 1.99-2.00
O 0.7106 0.1927 0.3261  2 Mn 1.96-2.02
O 0.3885 0.7605 0.4352  2 Mn 1.97-1.99
O 0.9454 0.0348 0.1246  1 Mn 1.88
O 0.4657 0.5522 0.6046  2 Mn 1.98
O 0.5449 0.1150 0.7361  2 Mn 1.96-2.03
O 0.7947 0.6593 0.8176  2 Mn 1.96-2.00
O 0.0736 0.7750 0.5771  2 Mn 1.98-1.99
O 0.9165 0.5763 0.0915  2 Mn 2.00
O 0.5827 0.7970 0.5382  2 Mn 2.00-2.01
O 0.2105 0.6735 0.8470  2 Mn 1.99-2.00
O 0.2889 0.1409 0.3395  2 Mn 1.97-2.02
O 0.3738 0.0815 0.1048  2 Mn 2.00
O 0.8794 0.8954 0.2907  2 Mn 1.98-2.01
O 0.8737 0.5634 0.6260  2 Mn 1.98
O 0.8737 0.2442 0.9515  1 Mn 1.89
O 0.7508 0.6469 0.3519  2 Mn 2.00
O 0.4161 0.8696 0.7978  2 Mn 2.00-2.01
O 0.2500 0.6897 0.3102  2 Mn 1.99
O 0.5820 0.4669 0.8688  2 Mn 1.99-2.00
O 0.2141 0.0058 0.5128  2 Mn 2.00-2.01
O 0.6266 0.9181 0.8947  2 Mn 1.99-2.00
La 0.9135 0.3900 0.2803  5 O 2.47-2.73
La 0.2420 0.1613 0.8371  4 O 2.41-2.67
La 0.7581 0.8400 0.1613  4 O 2.39-2.67
La 0.5984 0.2672 0.0526  4 O 2.39-2.65
La 0.7489 0.5000 0.5000  3 O 2.46-2.48
La 0.0861 0.9340 0.3920  4 O 2.43-2.68
La 0.4134 0.3931 0.2833  5 O 2.43-2.72
La 0.4147 0.0658 0.6086  5 O 2.43-2.71
La 0.0868 0.6055 0.7170  5 O 2.44-2.70
La 0.5812 0.6110 0.7213  4 O 2.43-2.60
La 0.2391 0.8377 0.1613  4 O 2.40-2.66
La 0.9190 0.0557 0.6101  5 O 2.44-2.62
La 0.7607 0.1638 0.8374  4 O 2.41-2.67
La 0.5855 0.9413 0.3906  5 O 2.46-2.63
La 0.4010 0.7334 0.9479  4 O 2.39-2.64
La 0.0792 0.2628 0.0518  6 O 2.45-2.66
La 0.9210 0.7372 0.9476  6 O 2.45-2.67



No. 2
Density functional theory data (PBE+U) for an optimized crystal structure of MgCo2Ni4O8.

Energy of formation from the pure elements in eV/atom: -1.27
Calculated density in g cm⁻³: 5.49
└──

== Reply ==
Mn 0.6627 0.2257 0.4450  6 O 1.94-2.02
Mn 0.1659 0.8887 0.7762  6 O 1.88-2.01
Mn 0.8375 0.7752 0.5547  6 O 1.94-2.03
Mn 0.6666 0.8890 0.7772  6 O 1.96-2.00
Mn 0.0023 0.6644 0.3356  6 O 1.94-2.04
Mn 0.3333 0.7745 0.5547  6 O 1.97-2.02
Mn 0.3326 0.4451 0.8891  6 O 1.98-2.00
Mn 0.4984 0.6658 0.3343  6 O 1.96-2.04
Mn 0.4968 0.3347 0.6659  6 O 1.95-2.03
Mn 0.6666 0.5551 0.1112  6 O 1.98-2.00
Mn 0.1677 0.2254 0.4452  6 O 1.99-2.02
Mn 0.8340 0.1107 0.2238  6 O 1.88-2.00
Mn 0.0025 0.3348 0.6643  6 O 1.95-2.02
Mn 0.4999 0.0002 0.9998  6 O 1.89-2.00
Mn 0.8296 0.4504 0.8888  6 O 1.89-2.01
Mn 0.3337 0.1107 0.2229  6 O 1.96-2.00
Mn 0.1705 0.5494 0.1116  6 O 1.89-2.00
O 0.7906 0.3258 0.1529  2 Mn 1.99-2.00
O 0.9344 0.7114 0.4470  2 Mn 1.94
O 0.2934 0.4694 0.0080  2 Mn 1.97-2.00
O 0.5663 0.4467 0.3943  2 Mn 1.94-1.96
O 0.7888 0.9941 0.4881  2 Mn 2.00-2.02
O 0.6260 0.2482 0.5623  2 Mn 1.97-2.00
O 0.1263 0.7557 0.0485  1 Mn 1.89
O 0.9172 0.2380 0.4265  2 Mn 2.00-2.02
O 0.7494 0.3132 0.6877  2 Mn 2.02
O 0.7065 0.8604 0.6607  2 Mn 1.97-2.03
O 0.2495 0.3431 0.6574  2 Mn 1.95
O 0.7354 0.9831 0.0192  1 Mn 1.89
O 0.4574 0.8852 0.2630  2 Mn 1.96-2.04
O 0.7065 0.5307 0.9925  2 Mn 1.97-1.99
O 0.0828 0.0907 0.2443  2 Mn 1.99-2.00
O 0.0542 0.9664 0.8750  1 Mn 1.88
O 0.3780 0.4170 0.7717  2 Mn 1.98-2.01
O 0.0455 0.6377 0.2146  2 Mn 2.00-2.04
O 0.2647 0.0168 0.9805  1 Mn 1.89
O 0.9170 0.9075 0.7574  2 Mn 1.98-1.99
O 0.1212 0.1036 0.7080  2 Mn 1.98-2.01
O 0.4173 0.5324 0.1328  2 Mn 1.99-2.00
O 0.2886 0.8071 0.6738  2 Mn 1.96-2.02
O 0.4590 0.2166 0.9313  2 Mn 1.99-2.00
O 0.9523 0.3635 0.7846  2 Mn 2.01-2.02
O 0.0838 0.4233 0.9086  2 Mn 1.99-2.00
O 0.5840 0.1300 0.2026  2 Mn 1.99-2.00
O 0.0335 0.2915 0.5527  2 Mn 1.96-1.99
O 0.4278 0.1879 0.4598  2 Mn 1.97-1.99
O 0.2074 0.3393 0.1816  2 Mn 1.96-1.99
O 0.1109 0.4357 0.3696  2 Mn 1.96-1.99
O 0.6219 0.5857 0.2279  2 Mn 1.98-2.01
O 0.5413 0.7834 0.0680  2 Mn 1.99-2.00
O 0.7106 0.1927 0.3261  2 Mn 1.96-2.02
O 0.3885 0.7605 0.4352  2 Mn 1.97-1.99
O 0.9454 0.0348 0.1246  1 Mn 1.88
O 0.4657 0.5522 0.6046  2 Mn 1.98
O 0.5449 0.1150 0.7361  2 Mn 1.96-2.03
O 0.7947 0.6593 0.8176  2 Mn 1.96-2.00
O 0.0736 0.7750 0.5771  2 Mn 1.98-1.99
O 0.9165 0.5763 0.0915  2 Mn 2.00
O 0.5827 0.7970 0.5382  2 Mn 2.00-2.01
O 0.2105 0.6735 0.8470  2 Mn 1.99-2.00
O 0.2889 0.1409 0.3395  2 Mn 1.97-2.02
O 0.3738 0.0815 0.1048  2 Mn 2.00
O 0.8794 0.8954 0.2907  2 Mn 1.98-2.01
O 0.8737 0.5634 0.6260  2 Mn 1.98
O 0.8737 0.2442 0.9515  1 Mn 1.89
O 0.7508 0.6469 0.3519  2 Mn 2.00
O 0.4161 0.8696 0.7978  2 Mn 2.00-2.01
O 0.2500 0.6897 0.3102  2 Mn 1.99
O 0.5820 0.4669 0.8688  2 Mn 1.99-2.00
O 0.2141 0.0058 0.5128  2 Mn 2.00-2.01
O 0.6266 0.9181 0.8947  2 Mn 1.99-2.00
La 0.9135 0.3900 0.2803  5 O 2.47-2.73
La 0.2420 0.1613 0.8371  4 O 2.41-2.67
La 0.7581 0.8400 0.1613  4 O 2.39-2.67
La 0.5984 0.2672 0.0526  4 O 2.39-2.65
La 0.7489 0.5000 0.5000  3 O 2.46-2.48
La 0.0861 0.9340 0.3920  4 O 2.43-2.68
La 0.4134 0.3931 0.2833  5 O 2.43-2.72
La 0.4147 0.0658 0.6086  5 O 2.43-2.71
La 0.0868 0.6055 0.7170  5 O 2.44-2.70
La 0.5812 0.6110 0.7213  4 O 2.43-2.60
La 0.2391 0.8377 0.1613  4 O 2.40-2.66
La 0.9190 0.0557 0.6101  5 O 2.44-2.62
La 0.7607 0.1638 0.8374  4 O 2.41-2.67
La 0.5855 0.9413 0.3906  5 O 2.46-2.63
La 0.4010 0.7334 0.9479  4 O 2.39-2.64
La 0.0792 0.2628 0.0518  6 O 2.45-2.66
La 0.9210 0.7372 0.9476  6 O 2.45-2.67



No. 2
Density functional theory data (PBE+U) for an optimized crystal structure of MgCo2Ni4O8.

Energy of formation from the pure elements in eV/atom: -1.27
Calculated density in g cm⁻³: 5.49